Source:
/*
Entry 1:
A relaxed structure of Pr6Sb3As2P, computed with GGA-PBE.

Geometry as extended XYZ:
```
12
Lattice="4.399 0.000 0.000 0.000 8.858 0.261 -2.200 -2.609 9.287" Properties=species:S:1:pos:R:3 pbc="T T T"
Sb 2.200 4.429 0.130
Sb 0.000 6.514 3.329
Sb 2.200 -0.264 6.218
Pr 0.000 6.285 6.539
Pr 2.200 4.203 3.309
Pr 2.200 4.171 9.432
Pr 2.200 -0.036 3.008
Pr 0.000 2.079 0.116
Pr 0.000 2.046 6.239
As 2.200 4.169 6.374
As 0.000 2.080 3.173
P 2.200 0.000 0.000
```

space-group type: No. 12
final energy: -5.98 eV/atom


Entry 2:
A relaxed structure of Pr4AsPSe2, computed with GGA-PBE.

Geometry as extended XYZ:
```
8
Lattice="-2.229 3.451 -1.086 -5.423 -2.027 4.687 1.298 2.925 6.629" Properties=species:S:1:pos:R:3 pbc="T T T"
As -3.826 0.712 1.800
Pr -1.601 3.349 5.611
Pr -4.753 1.000 4.618
Pr -3.019 0.701 8.422
Pr -3.335 3.648 1.808
P -2.062 0.449 5.658
Se 1.298 2.925 6.629
Se -0.466 3.188 2.771
```

space-group type: No. 10
final energy: -6.26 eV/atom


Entry 3:
A relaxed structure of Pr6AsP3Se2, computed with GGA-PBE.

Geometry as extended XYZ:
```
12
Lattice="-4.138 -0.784 0.427 1.744 -6.128 5.647 1.166 8.007 5.001" Properties=species:S:1:pos:R:3 pbc="T T T"
Pr 1.016 -0.620 8.696
Pr -2.244 1.715 2.379
Pr -2.528 5.634 6.822
Pr 1.299 -4.538 4.254
Pr 0.098 2.661 5.822
Pr -1.326 -1.565 5.254
P 1.151 -2.559 6.451
P -2.380 3.654 4.625
P -1.197 -3.456 3.037
Se 0.283 0.497 3.647
Se -1.512 0.599 7.428
As -2.069 -0.392 0.214
```

space-group type: No. 12
final energy: -6.40 eV/atom


Entry 4:
A relaxed structure of Pr4AsP2Se, computed with GGA-PBE.

Geometry as extended XYZ:
```
8
Lattice="-3.622 -1.686 -1.421 2.459 0.557 -6.926 3.574 -6.154 -1.809" Properties=species:S:1:pos:R:3 pbc="T T T"
P -0.024 -3.920 -1.615
P 3.574 -6.154 -1.809
Se -0.581 -0.564 -4.174
Pr 1.462 -5.324 -3.736
Pr 0.949 -1.958 -6.421
Pr -2.116 -3.141 -3.531
Pr 4.528 -4.141 -6.625
As 3.017 -2.798 -4.368
```

space-group type: No. 10
final energy: -6.42 eV/atom


Entry 5:
A relaxed structure of Pr6As2PSe3, computed with GGA-PBE.

Geometry as extended XYZ:
```
12
Lattice="4.261 0.000 0.000 0.000 8.575 0.262 -2.131 -2.517 9.003" Properties=species:S:1:pos:R:3 pbc="T T T"
P 2.131 0.000 0.000
Pr 0.000 1.956 6.084
Pr 2.131 4.101 3.181
Pr 0.000 2.015 0.092
Pr 2.131 -0.075 2.918
Pr 2.131 4.042 9.173
Pr 0.000 6.132 6.346
Se 2.131 4.287 0.131
Se 0.000 6.299 3.238
Se 2.131 -0.242 6.027
As 0.000 2.015 3.088
As 2.131 4.042 6.176
```

space-group type: No. 12
final energy: -6.23 eV/atom


Entry 6:
A relaxed structure of Pr4As2PSe, computed with GGA-PBE.

Geometry as extended XYZ:
```
8
Lattice="-0.159 -2.061 3.740 6.983 -2.228 -0.931 4.593 5.007 2.954" Properties=species:S:1:pos:R:3 pbc="T T T"
As 4.593 5.007 2.954
As 2.217 1.473 3.347
P 5.788 1.390 1.012
Pr 8.665 2.037 1.491
Pr 2.751 -1.318 4.273
Pr 5.095 2.128 3.830
Pr 6.321 -1.410 1.933
Se 3.412 -2.144 1.405
```

space-group type: No. 10
final energy: -6.31 eV/atom


no.,spin magnetization (μB per cell)
1,0.0
2,0.0
3,0.0
4,0.0
5,0.0
6,0.0

* * * * *

Material: Pr3NdIr
Method: DFT, GGA-PBE
State: optimized geometry

a = 6.857 Å, b = 7.145 Å, c = 7.145 Å
α = 91.42°, β = 75.22°, γ = 75.22°
Fractional coordinates of all 10 atoms:
Pr (0.235, 0.066, 0.566)
Pr (0.235, 0.566, 0.066)
Pr (0.765, 0.434, 0.934)
Pr (0.232, 0.567, 0.567)
Pr (0.765, 0.934, 0.434)
Pr (0.768, 0.433, 0.433)
Nd (0.766, 0.934, 0.934)
Nd (0.234, 0.066, 0.066)
Ir (0.499, 0.249, 0.249)
Ir (0.501, 0.751, 0.751)

## Properties
The space-group type is C2/m. The value obtained for the final energy is -58.2 eV/cell.

* * * * *

1.
## TlTeW2 (PBE)

Data for crystalline TlTeW2 at its relaxed geometry.

Calculated values
Total magnetization, μB per formula unit: 0.0
Formation energy from raw total energies, eV per atom: 1.074
DOS at the Fermi energy, states/eV/f.u.: 3.68
VASP energy, eV/atom: -6.78

abc: 4.8615 3.1308 5.5329
angles: 90.00 113.01 90.00
Space group P2/m (No. 10)
Symmetry-distinct sites (fractional):
1 Tl 0.0000 0.0000 0.0000
2 Te 0.0000 0.5000 0.5000
*/

To do:
Filter the calculation results earlier on: keep the lines with the word "Data".

Completed:
Data for crystalline TlTeW2 at its relaxed geometry.